To do =
Next, type out the lines underneath character by character.
Contents =
-- begin --
64
Properties=species:S:1:pos:R:3 method="wB97M-V/def2-TZVPD" lumo_ha="-0.09208 / -0.22688" de_lowest_kcal_mol=0.0 homo_energy_ha="-0.4541 / -0.4523" total_charge=+1 max_force_ha_per_bohr=0.0195 gap_ha="0.3621 / 0.2254" spin_multiplicity=2
Cu 0.97 -1.33 -0.74
Cl -1.66 -0.45 1.14
C -1.03 -1.72 2.19
Cl 0.24 -2.67 1.37
H -1.83 -2.41 2.45
H -0.58 -1.27 3.07
N -0.54 -1.88 -1.98
C -0.64 -0.94 -3.07
C -0.89 0.39 -2.78
C -0.92 1.32 -3.80
C -0.68 0.91 -5.11
C -0.43 -0.43 -5.40
C -0.41 -1.36 -4.37
S -0.74 2.08 -6.41
O 0.13 1.61 -7.47
O -0.42 3.37 -5.86
O -2.11 2.14 -6.96
H -1.37 -1.84 -1.40
H -0.47 -2.83 -2.33
H -1.04 0.71 -1.75
H -1.10 2.36 -3.59
H -0.23 -0.73 -6.42
H -0.21 -2.40 -4.59
C 4.11 2.28 -3.05
C 4.10 0.74 -3.04
C 5.24 0.25 -3.96
C 2.77 0.30 -3.66
Si 4.40 0.06 -1.28
Br 2.35 0.47 -0.18
C 5.61 1.05 -0.20
C 5.08 2.45 0.16
C 5.90 0.34 1.12
C 6.93 1.22 -0.97
C 4.56 -1.84 -1.17
C 6.03 -2.22 -1.46
C 3.68 -2.56 -2.20
C 4.18 -2.42 0.20
H 3.90 2.62 -4.07
H 5.07 2.69 -2.76
H 3.34 2.70 -2.40
H 5.11 0.69 -4.95
H 5.24 -0.83 -4.09
H 6.23 0.54 -3.60
H 2.69 0.76 -4.65
H 1.92 0.65 -3.08
H 2.68 -0.77 -3.80
H 4.19 2.40 0.79
H 4.85 3.07 -0.70
H 5.86 2.96 0.74
H 5.00 0.18 1.72
H 6.57 0.97 1.71
H 6.40 -0.62 0.99
H 6.82 1.85 -1.86
H 7.37 0.27 -1.29
H 7.66 1.71 -0.32
H 6.38 -1.85 -2.42
H 6.12 -3.31 -1.49
H 6.71 -1.86 -0.69
H 3.94 -2.32 -3.23
H 2.62 -2.34 -2.06
H 3.81 -3.64 -2.08
H 4.75 -1.99 1.03
H 4.38 -3.49 0.19
H 3.12 -2.28 0.43

13
Properties=species:S:1:pos:R:3 method="wB97M-V/def2-TZVPD" lumo_ha=0.03045 de_lowest_kcal_mol=140.2 homo_energy_ha=-0.3072 total_charge=0 max_force_ha_per_bohr=0.0127 gap_ha=0.3376 spin_multiplicity=1
C -2.30 0.26 -0.17
O -1.62 -0.19 1.01
C 0.00 0.01 0.91
N -0.65 0.91 1.52
N 2.50 0.92 -0.34
C 2.07 -0.29 -0.40
C 0.85 -0.77 0.23
H -3.05 -0.51 -0.38
H -2.75 1.22 0.04
H -1.58 0.34 -1.00
H 3.34 1.01 -0.90
H 2.59 -1.07 -0.97
H 0.61 -1.83 0.20

12
Properties=species:S:1:pos:R:3 method="wB97M-V/def2-TZVPD" lumo_ha=0.01850 de_lowest_kcal_mol=83.7 homo_energy_ha=-0.3051 total_charge=0 max_force_ha_per_bohr=0.0823 gap_ha=0.3236 spin_multiplicity=1
C 1.46 1.63 0.00
C 1.71 0.37 0.17
C -1.99 -0.53 -0.15
N -2.22 -0.36 -1.36
Si 0.38 -0.98 0.67
H 2.32 2.23 -0.46
H 0.54 2.08 0.26
H 2.66 0.04 -0.43
H -2.74 -0.56 0.63
H -3.16 -0.61 -1.65
H 0.14 -1.01 2.14
H 0.89 -2.30 0.19

14
Properties=species:S:1:pos:R:3 method="wB97M-V/def2-TZVPD" lumo_ha=0.01671 de_lowest_kcal_mol=168.5 homo_energy_ha=-0.3541 total_charge=0 max_force_ha_per_bohr=0.1717 gap_ha=0.3708 spin_multiplicity=1
C 1.28 1.81 -1.25
C -0.14 -0.88 0.29
C -1.45 -1.37 0.58
C -0.95 -0.02 1.12
H 2.61 1.74 -1.02
H 2.09 -0.27 -0.82
H 0.66 -1.54 0.46
H -1.50 -2.12 1.41
H -2.22 -1.28 -0.28
H -1.03 0.92 0.58
H -0.73 0.12 2.21
N 1.03 0.38 -0.81
O 0.42 2.79 -1.54
O -0.07 -0.29 -0.92

17
Properties=species:S:1:pos:R:3 method="wB97M-V/def2-TZVPD" lumo_ha=0.02832 de_lowest_kcal_mol=40.3 homo_energy_ha=-0.3035 total_charge=0 max_force_ha_per_bohr=0.0632 gap_ha=0.3318 spin_multiplicity=1
C 2.35 -0.12 1.61
C 1.27 -0.26 0.74
C 1.19 -1.22 -0.44
C 0.10 0.71 0.89
C -1.01 0.96 0.20
N -1.50 0.24 -0.86
C -2.70 0.45 -1.52
O -3.12 -0.27 -2.38
H 2.12 0.43 2.51
H 3.36 -0.58 1.41
H 0.75 -0.66 -1.27
H 2.18 -1.55 -0.80
H 0.46 -1.98 -0.20
H 0.30 1.36 1.81
H -1.71 1.62 0.69
H -0.82 -0.52 -1.10
H -3.23 1.39 -1.27

52
Properties=species:S:1:pos:R:3 method="wB97M-V/def2-TZVPD" lumo_ha=0.00943 de_lowest_kcal_mol=17.3 homo_energy_ha=-0.3239 total_charge=0 max_force_ha_per_bohr=0.0243 gap_ha=0.3333 smiles="O=C(NC1CCCC1)[C@H](c1ccncc1)N(C(=O)c1ccco1)c1ccc(Cl)cc1" spin_multiplicity=1
O -0.46 -3.02 -0.44
C -0.37 -2.16 0.41
N 0.68 -2.04 1.24
C 1.86 -2.87 1.14
C 2.62 -2.85 2.47
C 3.49 -1.60 2.36
C 4.00 -1.65 0.92
C 2.87 -2.31 0.11
C -1.46 -1.09 0.67
C -2.62 -1.21 -0.28
C -3.08 -0.14 -1.04
C -4.17 -0.34 -1.88
N -4.78 -1.50 -2.02
C -4.34 -2.52 -1.30
C -3.28 -2.43 -0.41
N -0.87 0.24 0.69
C -1.37 1.13 1.62
O -2.01 0.75 2.59
C -1.13 2.55 1.36
C -1.24 3.61 2.23
C -1.02 4.77 1.47
C -0.80 4.34 0.19
O -0.86 3.01 0.12
-- stop --
Completed =
64
Properties=species:S:1:pos:R:3 method="wB97M-V/def2-TZVPD" lumo_ha="-0.09208 / -0.22688" de_lowest_kcal_mol=0.0 homo_energy_ha="-0.4541 / -0.4523" total_charge=+1 max_force_ha_per_bohr=0.0195 gap_ha="0.3621 / 0.2254" spin_multiplicity=2
Cu 0.97 -1.33 -0.74
Cl -1.66 -0.45 1.14
C -1.03 -1.72 2.19
Cl 0.24 -2.67 1.37
H -1.83 -2.41 2.45
H -0.58 -1.27 3.07
N -0.54 -1.88 -1.98
C -0.64 -0.94 -3.07
C -0.89 0.39 -2.78
C -0.92 1.32 -3.80
C -0.68 0.91 -5.11
C -0.43 -0.43 -5.40
C -0.41 -1.36 -4.37
S -0.74 2.08 -6.41
O 0.13 1.61 -7.47
O -0.42 3.37 -5.86
O -2.11 2.14 -6.96
H -1.37 -1.84 -1.40
H -0.47 -2.83 -2.33
H -1.04 0.71 -1.75
H -1.10 2.36 -3.59
H -0.23 -0.73 -6.42
H -0.21 -2.40 -4.59
C 4.11 2.28 -3.05
C 4.10 0.74 -3.04
C 5.24 0.25 -3.96
C 2.77 0.30 -3.66
Si 4.40 0.06 -1.28
Br 2.35 0.47 -0.18
C 5.61 1.05 -0.20
C 5.08 2.45 0.16
C 5.90 0.34 1.12
C 6.93 1.22 -0.97
C 4.56 -1.84 -1.17
C 6.03 -2.22 -1.46
C 3.68 -2.56 -2.20
C 4.18 -2.42 0.20
H 3.90 2.62 -4.07
H 5.07 2.69 -2.76
H 3.34 2.70 -2.40
H 5.11 0.69 -4.95
H 5.24 -0.83 -4.09
H 6.23 0.54 -3.60
H 2.69 0.76 -4.65
H 1.92 0.65 -3.08
H 2.68 -0.77 -3.80
H 4.19 2.40 0.79
H 4.85 3.07 -0.70
H 5.86 2.96 0.74
H 5.00 0.18 1.72
H 6.57 0.97 1.71
H 6.40 -0.62 0.99
H 6.82 1.85 -1.86
H 7.37 0.27 -1.29
H 7.66 1.71 -0.32
H 6.38 -1.85 -2.42
H 6.12 -3.31 -1.49
H 6.71 -1.86 -0.69
H 3.94 -2.32 -3.23
H 2.62 -2.34 -2.06
H 3.81 -3.64 -2.08
H 4.75 -1.99 1.03
H 4.38 -3.49 0.19
H 3.12 -2.28 0.43

13
Properties=species:S:1:pos:R:3 method="wB97M-V/def2-TZVPD" lumo_ha=0.03045 de_lowest_kcal_mol=140.2 homo_energy_ha=-0.3072 total_charge=0 max_force_ha_per_bohr=0.0127 gap_ha=0.3376 spin_multiplicity=1
C -2.30 0.26 -0.17
O -1.62 -0.19 1.01
C 0.00 0.01 0.91
N -0.65 0.91 1.52
N 2.50 0.92 -0.34
C 2.07 -0.29 -0.40
C 0.85 -0.77 0.23
H -3.05 -0.51 -0.38
H -2.75 1.22 0.04
H -1.58 0.34 -1.00
H 3.34 1.01 -0.90
H 2.59 -1.07 -0.97
H 0.61 -1.83 0.20

12
Properties=species:S:1:pos:R:3 method="wB97M-V/def2-TZVPD" lumo_ha=0.01850 de_lowest_kcal_mol=83.7 homo_energy_ha=-0.3051 total_charge=0 max_force_ha_per_bohr=0.0823 gap_ha=0.3236 spin_multiplicity=1
C 1.46 1.63 0.00
C 1.71 0.37 0.17
C -1.99 -0.53 -0.15
N -2.22 -0.36 -1.36
Si 0.38 -0.98 0.67
H 2.32 2.23 -0.46
H 0.54 2.08 0.26
H 2.66 0.04 -0.43
H -2.74 -0.56 0.63
H -3.16 -0.61 -1.65
H 0.14 -1.01 2.14
H 0.89 -2.30 0.19

14
Properties=species:S:1:pos:R:3 method="wB97M-V/def2-TZVPD" lumo_ha=0.01671 de_lowest_kcal_mol=168.5 homo_energy_ha=-0.3541 total_charge=0 max_force_ha_per_bohr=0.1717 gap_ha=0.3708 spin_multiplicity=1
C 1.28 1.81 -1.25
C -0.14 -0.88 0.29
C -1.45 -1.37 0.58
C -0.95 -0.02 1.12
H 2.61 1.74 -1.02
H 2.09 -0.27 -0.82
H 0.66 -1.54 0.46
H -1.50 -2.12 1.41
H -2.22 -1.28 -0.28
H -1.03 0.92 0.58
H -0.73 0.12 2.21
N 1.03 0.38 -0.81
O 0.42 2.79 -1.54
O -0.07 -0.29 -0.92

17
Properties=species:S:1:pos:R:3 method="wB97M-V/def2-TZVPD" lumo_ha=0.02832 de_lowest_kcal_mol=40.3 homo_energy_ha=-0.3035 total_charge=0 max_force_ha_per_bohr=0.0632 gap_ha=0.3318 spin_multiplicity=1
C 2.35 -0.12 1.61
C 1.27 -0.26 0.74
C 1.19 -1.22 -0.44
C 0.10 0.71 0.89
C -1.01 0.96 0.20
N -1.50 0.24 -0.86
C -2.70 0.45 -1.52
O -3.12 -0.27 -2.38
H 2.12 0.43 2.51
H 3.36 -0.58 1.41
H 0.75 -0.66 -1.27
H 2.18 -1.55 -0.80
H 0.46 -1.98 -0.20
H 0.30 1.36 1.81
H -1.71 1.62 0.69
H -0.82 -0.52 -1.10
H -3.23 1.39 -1.27

52
Properties=species:S:1:pos:R:3 method="wB97M-V/def2-TZVPD" lumo_ha=0.00943 de_lowest_kcal_mol=17.3 homo_energy_ha=-0.3239 total_charge=0 max_force_ha_per_bohr=0.0243 gap_ha=0.3333 smiles="O=C(NC1CCCC1)[C@H](c1ccncc1)N(C(=O)c1ccco1)c1ccc(Cl)cc1" spin_multiplicity=1
O -0.46 -3.02 -0.44
C -0.37 -2.16 0.41
N 0.68 -2.04 1.24
C 1.86 -2.87 1.14
C 2.62 -2.85 2.47
C 3.49 -1.60 2.36
C 4.00 -1.65 0.92
C 2.87 -2.31 0.11
C -1.46 -1.09 0.67
C -2.62 -1.21 -0.28
C -3.08 -0.14 -1.04
C -4.17 -0.34 -1.88
N -4.78 -1.50 -2.02
C -4.34 -2.52 -1.30
C -3.28 -2.43 -0.41
N -0.87 0.24 0.69
C -1.37 1.13 1.62
O -2.01 0.75 2.59
C -1.13 2.55 1.36
C -1.24 3.61 2.23
C -1.02 4.77 1.47
C -0.80 4.34 0.19
O -0.86 3.01 0.12